[Entries]
<<<
Entry 1:
>>>
[Request]
The reader should filter the contents further above: keep the lines with the word "Entry".
[Response]
Entry 1: